Lehae> Lihlahisoa> Titanium Alloy Seam Noss PIPE

Titanium Alloy Seam Noss PIPE

There are 99 products

  • Titium Tube Ts'ebetso Zero Custting




    Matla a ho Fana:300000 tons/month

    Sebaka sa Tšimoloho:Jiangsu, China

    Tlhahiso:300000 tons/month

    Melemo le likopo tse pharaletseng tsa Titanium Tubes Tipe ea Tipe ke mofuta o mocha oa boitsebiso ba tšepe tse ngata tse ileng tsa nkela lipaki tsa tšepe ka botlalo le lipeipi tsa tšepe likarolo tse ling. Joale, ke eng e etsang hore e phatlalatsoe...

  • Botenya ba lebota la titanium allo lositsoeng




    Matla a ho Fana:300000 tons/month

    Sebaka sa Tšimoloho:Jiangsu, China

    Tlhahiso:300000 tons/month

    Mokhoa oa ho lokisa titanium le titanium elloy alloy alloy lokeletso Boqapi bo senola mokhoa oa ho lokisa Tinamium le Titalium Alloy Seamile Blanks. Mokhoa ke: 1. Ho hata seaparo ka bareng, ebe u pefatsa bokaholimo ba bare, 'me joale ba phefunya...

  • Phala ea Tinatium e hloekileng




    Matla a ho Fana:300000 tons/month

    Sebaka sa Tšimoloho:Jiangsu, China

    Tlhahiso:300000 tons/month

    Jiangsu Maihe ke moetsi oa terata ea terata ea Tatanium Tube Chanition, ho kenyeletsa le Titaning Blante and tlhahlobong ea lefeella. Titanium le Titalium Allows bal baf ba nang le matla a maholo, matla a maholo, a hanyetsanang le khatello e matla...

  • Tatiamo ea phepelo ea Titania




    Matla a ho Fana:300000 tons/month

    Sebaka sa Tšimoloho:Jiangsu, China

    Tlhahiso:300000 tons/month

    Melemo le likopo tse pharaletseng tsa Titanium Tubes 1. Titanium Tubes e na le mosebetsi o phahameng oa lik'hemik'hale. Titanium e na le ts'ebetso e phahameng ea lik'hemik'hale ea lik'hemik'hale 'me e hlahisa karabelo...

  • Bophahamo bo phahameng ba titanium bo hloekileng




    Matla a ho Fana:300000 tons/month

    Sebaka sa Tšimoloho:Jiangsu, China

    Tlhahiso:300000 tons/month

    Lipontšo tse fapaneng tsa likopo tsa Titanium Tubes Litšireletso tsa li-indasteri tsa 1.Moli Tsimon-Class Nuclear Subrimarine, Tinas Tubes e na le ts'ebeliso e pharalletseng indastering ea sesole. Li-such tsa li-Nuclear tsa nyutlelie,...

## Between two parts of the entry: data records
~~~
[1]
Density functional theory data (the ωB97M-V functional and the def2-TZVPD basis) for a structure of composition C4H8S2 in a non-equilibrium geometry.

Gap between HOMO and LUMO in eV: 9.0
Energy above the lowest of the compared OMol25 structures with the same formula, charge and spin in eV: 6.0140
E_LUMO in Eh: 0.025
Net charge: 0

Each line ends with the natural charge from an NBO analysis.
CARTESIAN COORDINATES (ANGSTROEM)
C: 2.81 -0.83 1.54  -0.674
C: 0.41 0.05 -0.01  -0.694
C: -1.83 0.50 -1.04  -0.403
C: -2.98 1.06 -1.36  -0.427
H: 3.51 -0.62 2.31  0.215
H: 1.66 -1.41 1.96  0.207
H: 3.21 -1.68 0.83  0.220
H: 0.36 -0.42 -0.95  0.215
H: -0.01 -0.74 0.58  0.219
H: -1.22 -0.40 -1.95  0.214
H: -3.39 0.44 -2.17  0.218
H: -3.70 1.98 -0.51  0.222
S: 1.96 0.80 0.63  0.159
S: -0.80 1.26 0.14  0.308

---

[2]
Density functional theory data (the ωB97M-V functional and the def2-TZVPD basis) for the molecule C3H2N2O3 in a non-equilibrium geometry.

Gap between HOMO and LUMO (spin up / spin down) in eV: 7.7 / 8.3
Energy above the lowest of the compared OMol25 structures with the same formula, charge and spin in eV: 4.2515
E_LUMO (spin up / spin down) in Eh: -0.085 / -0.078
Net charge: 0

Each line ends with the natural charge from an NBO analysis.
CARTESIAN COORDINATES (ANGSTROEM)
C: 0.52 -0.27 -1.00  0.559
C: 0.06 0.11 1.50  0.687
C: -0.84 0.23 -1.22  0.180
N: 0.80 -0.30 0.36  -0.630
N: -1.20 0.61 1.25  -0.141
O: 1.30 -0.62 -1.84  -0.544
O: 0.54 0.00 2.60  -0.567
O: -1.50 0.59 -0.11  -0.209
H: -1.39 0.33 -2.14  0.229
H: 1.72 -0.67 0.60  0.436

---

[3]
Density functional theory data (the ωB97M-V functional and the def2-TZVPD basis) for a cluster of 6 separate species, C23H41BrF7O17PS in total.

Gap between HOMO and LUMO in eV: 10.1
SMILES string: O=S(=O)(PBr)C(F)(F)C(F)(F)C(F)(F)F.CCOC(=O)OC.CCOC(=O)OC.CCOC(=O)OC.CCOC(=O)OC.CCOC(=O)OC
E_LUMO in Eh: -0.010
Net charge: 0

Each line ends with the Löwdin charge.
CARTESIAN COORDINATES (ANGSTROEM)
O: -1.77 -2.14 3.03  -0.336
S: -1.83 -1.59 1.71  0.450
O: -1.02 -2.12 0.64  -0.346
P: -1.16 0.47 1.76  0.445
Br: -2.24 1.41 3.41  0.298
C: -3.57 -1.90 1.05  -0.466
F: -3.60 -1.46 -0.23  0.102
F: -3.66 -3.24 1.05  0.124
C: -4.80 -1.32 1.83  -0.354
F: -5.76 -2.27 1.90  0.156
F: -4.43 -0.98 3.08  0.109
C: -5.49 -0.10 1.15  -0.569
F: -6.00 -0.44 -0.02  0.180
F: -4.64 0.91 0.97  0.149
F: -6.47 0.32 1.93  0.197
H: -1.94 0.91 0.67  -0.107
C: 3.45 0.43 4.23  -0.056
C: 2.94 1.14 2.99  -0.211
O: 1.86 2.04 3.30  0.004
C: 2.21 3.22 3.82  -0.613
O: 3.33 3.61 4.02  0.129
O: 1.09 3.90 4.06  -0.010
C: 1.28 5.18 4.67  -0.036
H: 2.63 -0.07 4.74  0.083
H: 4.19 -0.31 3.94  0.079
H: 3.91 1.13 4.92  0.078
H: 2.51 0.43 2.29  0.115
H: 3.73 1.69 2.48  0.124
H: 1.98 5.78 4.10  0.095
H: 1.65 5.06 5.69  0.099
H: 0.30 5.65 4.68  0.092
C: -8.48 0.71 -1.83  -0.054
C: -8.66 2.21 -1.85  -0.200
O: -7.67 2.85 -2.68  0.042
C: -7.90 2.80 -3.98  -0.605
O: -8.87 2.31 -4.52  0.111
O: -6.89 3.40 -4.61  0.010
C: -6.99 3.38 -6.04  -0.034
~~~
## End of the data records

  • Titanium Tubetitanium Alloy Pipe




    Matla a ho Fana:300000 tons/month

    Sebaka sa Tšimoloho:Jiangsu, China

Misplaced quantum chemistry results =
........
The following is a DFT calculation (ωB97M-V with the def2-TZVPD basis set) of 2 unconnected molecules or ions with the total composition C4H8O2.

Cartesian coordinates (Å):
C  1.522  0.855  -0.063
C  0.734  -0.308  -0.598
C  -0.449  -0.245  -1.212
O  -1.193  0.865  -1.469
H  0.935  1.780  -0.001
H  1.888  0.645  0.948
H  2.399  1.069  -0.687
H  1.159  -1.299  -0.468
H  -0.962  -1.136  -1.562
H  -0.698  1.649  -1.194
C  -1.318  -0.932  1.582
O  -1.044  -2.065  1.882
H  -0.734  -0.062  1.946
H  -2.181  -0.677  0.935

Forces on atoms 1 to 3 (eV/Å):
-0.03 0.07 0.01
-0.18 0.01 -0.13
0.27 -0.32 0.08

For the HOMO-LUMO gap, the calculation gives 9.67 eV. As for the maximum force: 0.5 eV Å⁻¹. The charge is 0. The lowest unoccupied orbital energy comes out at 0.0241 hartree. For the HOMO energy, the calculation gives -9.0 eV. For the electronic energy, the calculation gives -8371.0296 eV.


The following is a DFT calculation (ωB97M-V with the def2-TZVPD basis set) of 2 unconnected molecules or ions with the total composition C4H8O2.

Cartesian coordinates (Å):
C  -0.614  0.113  -1.113
C  0.033  -0.838  -0.205
O  -0.228  -2.207  -0.099
C  1.413  -0.367  0.208
C  0.199  0.056  0.927
O  -0.243  2.042  0.732
H  -0.218  0.215  -2.125
H  -0.418  1.646  -0.197
H  -1.704  0.120  -1.038
H  -1.105  -2.340  -0.481
H  2.029  -1.061  0.782
H  1.969  0.307  -0.437
H  -0.024  0.105  1.984
H  -1.127  2.196  1.105

Forces on atoms 1 to 3 (eV/Å):
-0.10 -0.26 -0.21
0.06 0.38 0.08
-0.22 -0.05 -0.08

For the HOMO-LUMO gap, the calculation gives 7.85 eV. As for the maximum force: 0.4 eV Å⁻¹. The charge is 0. The lowest unoccupied orbital energy comes out at 0.0076 hartree. For the HOMO energy, the calculation gives -7.6 eV. For the electronic energy, the calculation gives -8367.0059 eV.


The following is a DFT calculation (ωB97M-V with the def2-TZVPD basis set) of a single C4H8O2 molecule in a non-equilibrium geometry.

Cartesian coordinates (Å):
C  0.436  -1.345  0.270
C  -1.255  -0.609  -1.227
O  -1.293  0.699  -1.090
C  -0.658  1.222  0.054
C  0.713  0.480  0.049
O  1.485  0.836  1.144
H  -0.110  -1.400  1.228
H  -0.133  -2.099  -0.315
H  1.421  -1.807  0.390
H  -1.023  -0.657  -2.319
H  -1.181  1.071  1.007
H  -0.662  2.294  -0.196
H  1.290  0.886  -0.818
H  1.017  0.456  1.896

Forces on atoms 1 to 3 (eV/Å):
0.67 0.97 0.22
-1.88 0.28 -0.75
0.49 0.11 -0.87

For the HOMO-LUMO gap, the calculation gives 8.63 eV. As for the maximum force: 2.0 eV Å⁻¹. The charge is 0. The lowest unoccupied orbital energy comes out at 0.0288 hartree. For the HOMO energy, the calculation gives -7.8 eV. For the electronic energy, the calculation gives -8366.6913 eV.

~~~~~

# 1
97
Properties=species:S:1:pos:R:3 method="wB97M-V/def2-TZVPD" total_charge=-1 e_tot_ev=-69601.54902 orbital_gap_ev=7.7 homo_ev=-5.56 lumo_ev=2.18
C -0.114 0.765 0.391
C 0.319 -0.531 1.097
C -0.635 -1.001 2.248
O 0.658 -1.621 0.259
H -1.145 0.684 0.046
H 0.609 1.066 -0.367
H -0.040 1.524 1.170
H 1.265 -0.377 1.617
........

    Tlhahiso:300000 tons/month

    Lipontšo tse fapaneng tsa likopo tsa Titanium Tubes 1. Likopi tsa indasteri ea lik'hemik'hale Mefuta ea lisebelisoa e ntlafalitsoe ho tloha se seng le e le ea masoha ho ea ho tse kholo le tse fapaneng. Ho latela lefapha la indasteri la...

  • Monate oa Malimo Tina Alloe




    Matla a ho Fana:300000 tons/month

    Sebaka sa Tšimoloho:Jiangsu, China

    Tlhahiso:300000 tons/month

    Litšobotsi tsa Ts'ebetso ea Lihlahisoa tsa Tinass Tibium Tubis Li-tubium li-tubes li arotsoe hangata ho ba li-tusis tsa titanium tse sa amaneng le li-tiubes tsa Tinatium. Mabapi le tlhahiso ea tiules e se nang leoatle, lilemong tsa morao tjena,...

  • Liipone tsa indasteri tse hloekileng tsa Titanium ea tšepe




    Matla a ho Fana:300000 tons/month

    Sebaka sa Tšimoloho:Jiangsu, China

    Tlhahiso:300000 tons/month

    Titanium Alloy Seam Qalong e ne e sebelisoa haholo ho etsa likarolo tsa enjine ea lifofane le likarolo tsa sebopeho bakeng sa lirokete, metsu le lifofane tse lebelo le lifofane tse matla. Ho tloha bohareng ba bo-1960, ho bile le ka sebelisoa...

  • Titanium alloy ohd




    Matla a ho Fana:300000 tons/month

    Sebaka sa Tšimoloho:Jiangsu, China

    Tlhahiso:300000 tons/month

    Titanium Alloy Seam Noss PIPE Khampani ea rona e sebelisa mekhoa ea mahlale a batang le a chesang a batang le tlhahlobo ea morao-rao ea tlhahlobo, eddy ea morao-rao. Lipekisi tsa rona tse nang le matanium tse nang le matanium tse koahetsoeng ka...

  • Botenex Wall Tinatium Alloy Seamjec




    Matla a ho Fana:300000 tons/month

    Sebaka sa Tšimoloho:Jiangsu, China

    Tlhahiso:300000 tons/month

    Tatanium alloy e na le thepa e phahameng ea ho sisinyeha, thepa e ntle e tsitsitseng, 'me e ka feptjoa ka mefuta e fapaneng. Matla a kopaneng a kopaneng a ka fihlela 90% ea matla a tšepe ea motheo, 'me ts'ebetso ea ho khaola e hantle....

  • E hlophiselitsoe boleng bo holimo bo tloaelehileng ba tianium tuti




    Matla a ho Fana:300000 tons/month

    Sebaka sa Tšimoloho:Jiangsu, China

    Tlhahiso:300000 tons/month

    Jiangsu Maihe ke moetsi oa terata ea terata ea Tatanium Tube Chanition, ho kenyeletsa le Titaning Blante and tlhahlobong ea lefeella. Titanium li-tubers li bobebe, ka matla a phahameng ebile li na le thepa e phahameng ka ho fetisisa. E sebelisoa...

  • Tatanium alloy




    Matla a ho Fana:300000 tons/month

    Sebaka sa Tšimoloho:Jiangsu, China

    Tlhahiso:300000 tons/month

    Tlhahisoleseling ea Titanium Tube kenyelletso le ts'ebeliso: Titanium Alloy Libata li bobebe, ka matla a phahameng ebile li na le thepa e phahameng ka ho fetisisa. E sebelisoang haholo ho Aerospace, likarolo tsa likoloi, lipula tsa leoatle tsa...

  • Seamles terata ea leoatle ea titanium tube




    Matla a ho Fana:300000 tons/month

    Sebaka sa Tšimoloho:Jiangsu, China

    Tlhahiso:300000 tons/month

    Titanium ke lebone le bohareng le fapaneng la silevera le nang le boima ba lefu la silevera, matla a phahameng, matla a tšepe le ho hanyetsa mohopolong oa lirestures. Titanium Alloy Seam Jiangsu Maihe Mati Hei o ile a theha ka Mmesa 2018 mme o...

  • Matla a phahameng a tudium tube




    Matla a ho Fana:300000 tons/month

    Sebaka sa Tšimoloho:Jiangsu, China

    Tlhahiso:300000 tons/month

    Melemo ea li-titanium tse salon ke life? Ts'ireletso e ikhethang (matla a Tensles / a ho bona setšoantšo) E na le matla a matle a kelello. Mocheso oa ts'ebetso ke likhato tse makholo a makholo a mangata ho feta tsa aluminium lehare. E ntse e...

Misplaced data records
┌──
1.
DFT (the ωB97M-V functional and the def2-TZVPD basis) results for one molecule with the formula C7H8O2S2.

```
19
Properties=species:S:1:pos:R:3:nbo_charge:R:1
O -2.997 -0.922 1.052 -0.90
O -4.507 1.107 0.808 -0.93
H 0.693 1.103 0.825 0.24
H 4.586 -1.374 1.180 0.24
C 0.176 1.347 -0.101 -0.64
C -3.115 0.178 -1.243 -0.50
C -1.844 0.257 -1.049 0.06
H 0.928 1.610 -0.848 0.23
H -3.247 -1.075 1.966 0.50
H -0.474 2.205 0.062 0.24
C -0.636 0.185 -0.561 -0.16
H 4.426 0.321 0.687 0.24
H 4.891 -0.908 -0.505 0.24
S -4.222 -0.176 0.193 1.48
C 2.880 -0.937 0.070 0.03
C 1.717 -1.083 -0.206 -0.29
S 0.099 -1.452 -0.526 0.38
C 4.275 -0.711 0.372 -0.68
H -3.629 0.324 -2.176 0.24
```

Properties
* electronic energy: -33149.81891 eV
* relative energy (zero: lowest compared OMol25 entry of this formula, charge and spin): 2.662 eV
* orbital gap: 8.68 eV

=====

2.
DFT (the ωB97M-V functional and the def2-TZVPD basis) results for an isolated ion of composition C3H6NOS and charge -1.

```
12
Properties=species:S:1:pos:R:3:nbo_charge:R:1
N 2.390 0.562 0.413 -0.31
H -2.654 0.247 1.083 0.17
C -1.733 0.354 0.528 -0.45
H 0.127 -1.109 -1.774 0.20
H -1.644 -1.633 -0.122 0.17
H 2.079 0.717 1.402 0.26
O 1.843 1.467 -0.348 -0.67
C 0.126 -0.564 -0.827 -0.63
H 0.459 0.492 -0.978 0.27
H -1.269 1.326 0.544 0.20
S 1.453 -1.206 0.207 -0.06
C -1.176 -0.653 -0.127 -0.15
```

Properties
* electronic energy: -17578.67390 eV
* total charge: -1
* relative energy (zero: lowest compared OMol25 entry of this formula, charge and spin): 4.391 eV
* orbital gap: 6.27 eV
* SMILES: C=CCSN[O-]

=====

3.
DFT (the ωB97M-V functional and the def2-TZVPD basis) results for one molecule with the formula H2N2O3.

```
7
Properties=species:S:1:pos:R:3:nbo_charge:R:1
N -0.499 0.721 -0.256 0.65
O 0.445 1.239 -0.775 -0.39
H -0.786 -1.162 0.923 0.41
N -0.196 -0.618 0.325 -0.26
O -1.622 1.077 -0.095 -0.35
H 1.540 -0.235 -0.270 0.49
O 1.117 -1.023 0.148 -0.54
```

Properties
* electronic energy: -9149.48737 eV
* relative energy (zero: lowest compared OMol25 entry of this formula, charge and spin): 0.751 eV
* orbital gap: 10.15 eV
* SMILES: O=[N+]([O-])NO

=====

4.
DFT (the ωB97M-V functional and the def2-TZVPD basis) results for C5H8O as an isolated structure.

```
14
Properties=species:S:1:pos:R:3:nbo_charge:R:1
C 1.753 0.123 -0.141 -0.71
H 2.475 -0.587 0.292 0.25
H -0.185 1.116 0.670 0.26
C 0.569 0.030 0.773 -0.04
H -0.630 -1.765 1.275 0.25
O -2.728 -0.671 -0.144 -0.51
H 1.594 -0.196 -1.187 0.18
H 2.231 1.107 -0.124 0.22
H -0.024 -1.754 -0.400 0.22
H -0.539 1.159 -1.274 0.24
C -1.578 -0.326 -0.054 0.60
C -0.376 -1.118 0.429 -0.62
H -1.687 1.890 -0.082 0.25
C -1.013 1.054 -0.295 -0.61
```

Properties
* electronic energy: -7357.93223 eV
* relative energy (zero: lowest compared OMol25 entry of this formula, charge and spin): 4.323 eV
* orbital gap: 8.74 eV

=====

5.
DFT (the ωB97M-V functional and the def2-TZVPD basis) results for C5H8N as an isolated structure.

```
14
└──
Here the text continues

  • Tete ea lebota le teteaneng ea titanium tuti




    Matla a ho Fana:300000 tons/month

    Sebaka sa Tšimoloho:Jiangsu, China

    Tlhahiso:300000 tons/month

    Likarolo tse ka tlase: Bongata bo tlase, ho hanyetsa hamonate hantle, ho tsitsa, ho na le mafome, bo botle ba li-cology, ba molomo. Likopo tsa tutium tje tsa liipone: Kaho, likoloi, sesole, li-biones, sesole sa motlakase, koloi aquamulture, jj....

  • Seaparo sa boleng bo holimo se nang le boima ba titanium




    Matla a ho Fana:300000 tons/month

    Sebaka sa Tšimoloho:Jiangsu, China

    Tlhahiso:300000 tons/month

    Patias ea tatium e se nang mohala ke pipi e telele e entsoeng ka thepa ea titanium kapa titanium alloy ka karolo e thata le ho se tsamaee ho potoloha peō e potileng. Qalong e ne e sebelisoa haholo ho hlahisa likarolo tsa enjene ea lifofane le...

  • Bophara bo boholo ba tšollo e teteaneng leboteng la tiass titanium phala




    Matla a ho Fana:300000 tons/month

    Sebaka sa Tšimoloho:Jiangsu, China

    Tlhahiso:300000 tons/month

    Li-pipi tsa Titanium tse anyang li hlahisoa ka mekhoa e metle joalo ka lits'ebetso tse batang le tse chesang tsa ho chesa, lits'ebetso tsa SIRDINGDINGDINGDING LESHALO. Li-pipi tse ngata tse nang le mekotla e meholo e nang le mekotla e...

  • Low e kholo titanium alloy phala




    Matla a ho Fana:300000 tons/month

    Sebaka sa Tšimoloho:Jiangsu, China

    Tlhahiso:300000 tons/month

    Titanium le Titanium Alhloys ba na le melemo e tlase, matla a phahameng, matla a matle le mocheso o phahameng oa mocheso le khatello ea maikutlo. Li sebelisoa haholo ka aerospace, indasteri ea tšebetso ea matsoho, jj. Titanium alloy e se nang lesela...

  • E Khethehileng e Ikhethileng e Khethiloeng ea Tianium Allong Tube




    Matla a ho Fana:300000 tons/month

    Sebaka sa Tšimoloho:Jiangsu, China

    Tlhahiso:300000 tons/month

    Titanium Alloy Seam Titanium Alloy o na le matla a maholo le letsoalo le tlase, thepa e ntle, e leng matla a mangata, ho thatafala le ho ikamahanya le maemo a mangata. Li-alloys tsa Titanium li sebelisoa haholo ho etsa likarolo tsa lichelete tsa...

  • Zero-Cut Seamles Tinals Titanium Tube




    Matla a ho Fana:300000 tons/month

    Sebaka sa Tšimoloho:Jiangsu, China

    Tlhahiso:300000 tons/month

    Litšobotsi tsa li-tianium tse sa lefelloeng 1. Titanium Tubes e bobebe ka boima ba 'mele ebile e na le thepa e ntle haholo ea ho aka. Li sebelisoa ka bongata lisebelisoa tsa phapanyetsano ea mocheso tse kang li-complys, e le lipeo le liphaephe...

  • Ho rulula taanium e hloekileng




    Matla a ho Fana:300000 tons/month

    Sebaka sa Tšimoloho:Jiangsu, China

    Tlhahiso:300000 tons/month

    Melemo ea Titanium Alloy Seam Noss PIP: 1. Lihlahisoa tse ntle tsa mocheso: Lipapali tsa Titanium li ntse li ka boloka thepa ea bona ea mochini le mocheso oa mocheso o tlase. Titanium Alloys e nang le thepa e ntle ea mocheso le lintho tse tlase tsa...

  • Liipone tsa Seiki tsa Titanium Tube




    Matla a ho Fana:300000 tons/month

    Sebaka sa Tšimoloho:Jiangsu, China

    Tlhahiso:300000 tons/month

    Titanium Alloy Seam Noss PIPE Titanium ke mofuta o mocha oa tšepe, 'me li-alloys tsa Titanium li latela titanium ka tlatsetso ea likarolo tse ling. E na le lintho tse ngata tse felletseng tsa phello, ho tsilatsila botle ba segari, ho thatafatsa...

  • Matla a phahameng a melatium allo logo




    Matla a ho Fana:300000 tons/month

    Sebaka sa Tšimoloho:Jiangsu, China

    Tlhahiso:300000 tons/month

    Titanium Alloy Seam Noss PIPE Titanium Alloy Seam Qalong e ne e sebelisoa haholo ho etsa likarolo tsa enjine ea lifofane le likarolo tsa sebopeho bakeng sa lirokete, metsu le lifofane tse lebelo le lifofane tse matla. Ho tloha bohareng ba bo-1960,...

  • Liindasteri Tianium Alloy Seam holofar




    Matla a ho Fana:300000 tons/month

    Sebaka sa Tšimoloho:Jiangsu, China

    Tlhahiso:300000 tons/month

    Titanium Alloy Seam Noss PIPE Lifate tsa Titanium li na le menyetla e mengata ea liphaephe tsa setso tsa tšepe, lipeipi tsa tšepe tse ntle matla a maholo, a ka fihlelang phokotso ha a ntse a tiisa matla le botsitso. Morero o boima; Ho na le mefuta e...

Lehae> Lihlahisoa> Titanium Alloy Seam Noss PIPE
Re tla ikopanya le uena ka nqane

Tlatsa tlhaiso-leseling e eketsehileng e le hore e ka ikopanya le uena kapele

Polelo ea boinotšing: Lekunutu la hau le bohlokoa haholo ho rona. Khamphani ea rona e tšepisa hore ha e etse hore u se ke ua senola tlhahisoleseling ea hau ho ea pele.
